Walking off the field, high-fiving your teammates, and grabbing a snack after a close victory is one of the greatest feelings in sports. Players and coaches work hard all year to win. When they walk off the field after earning “the dub,” the whole team can take solace in a finite result. The other team…. En lire plus »
Étiquette : life at summer camp
The Importance of Camp Routines
[Next to the text, the page also holds records of crystals]
=====
Compound: K2TlBr3
Source: Alexandria via LeMat-Bulk
Functional: PBE
Structure: optimized geometry

Cell and atoms, written as CIF:
```
data_K2TlBr3
_chemical_formula_sum 'K2 Tl1 Br3'
_cell_length_a 8.2232
_cell_length_b 8.2232
_cell_length_c 8.2232
_cell_angle_alpha 146.49
_cell_angle_beta 131.93
_cell_angle_gamma 59.86
_symmetry_space_group_name_H-M 'P 1'
_symmetry_Int_Tables_number 1
loop_
_symmetry_equiv_pos_as_xyz
'x,y,z'
loop_
_atom_site_label
_atom_site_type_symbol
_atom_site_fract_x
_atom_site_fract_y
_atom_site_fract_z
K1 K 0.1656 0.1656 0.0000
K2 K 0.8344 0.8344 0.0000
Tl1 Tl 0.5000 0.5000 0.0000
Br1 Br 0.0000 0.5000 0.5000
Br2 Br 0.3305 0.8305 0.5000
Br3 Br 0.6695 0.1695 0.5000
```

Calculated values
Distance to the lowest polymorph of the same formula = 0 meV per atom
ΔE_f (raw) = -1.46 eV per atom
Symmetry = Immm, No. 71
Crystal system = orthorhombic
D(E_F) = 0.000 states/eV per atom
Electronic total energy = -18.32 eV/f.u.

* * * * *

DFT (PBE) results for a geometry-optimized Cs3Pb4Au4 structure.

```
Cs3Pb4Au4
1.0
-2.5487 2.7053 14.2568
2.5487 -2.7053 14.2568
2.5487 2.7053 -14.2568
Cs Pb Au
3 4 4
Direct
0.0000 0.0000 0.0000
0.1420 0.6420 0.5000
0.8580 0.3580 0.5000
0.2483 0.2483 0.0000
0.4000 0.9000 0.5000
0.6000 0.1000 0.5000
0.7517 0.7517 0.0000
0.3009 0.8009 0.5000
0.4495 0.4495 0.0000
0.5505 0.5505 0.0000
0.6991 0.1991 0.5000
```

Calculated values
- DFT formation energy (eV/atom) = -0.15
- symmetry = Immm (71)
=====
Camp Laurel South: Camp is all about having fun, developing friendships and creating memories that last a lifetime. Campers love the activities, living with their closest friends and trying new things. They could go on and on about how much they love wakeboarding, playing ping-pong during free time or simply laughing through every day. What… En lire plus »
The Value of Communal Living at a Young Age
We’ve all heard horror stories of terrible college roommates; the ones who are dirty or irresponsible or rude or have no self-awareness. It raises the question, if these people would have been exposed to more communal living experiences growing up, would they be better roommates as an adult? Living with others is a skill that… En lire plus »
The Beauty of Camp
Chelsea takes the subway to school every morning. Justin spends his weekends hanging out downtown with his buddies. Evan can walk to movie theaters, restaurants, and museums from the apartment where he lives. These city kids spend most of their year surrounded by concrete, honking horns and tall buildings. And that is why they, like… En lire plus »
The Physical Health Benefits of Summer Camp
There are quite a few things that have seen rapid growth over the last several years, including Justin Bieber’s popularity, SnapChat and Disney’s Frozen. However, there is something that is taking over America’s youth at a frightening speed, and it’s not as light and fluffy as Elsa or The Biebs; it’s childhood obesity. Childhood obesity… En lire plus »
Going on a Hike… More than Just Good Exercise!

When you hear the words “summer camp,” you probably think of three things right away: campfires, friendship — and nature. Without any of these essential elements, camp just wouldn’t be the same. Spending much-needed “digital detox” time in the woods is what brings many of us back year after year, so it’s no surprise that… En lire plus »
Il campus ha cambiato il mio bimbo
Ero emozionata e nervosa per il fatto di dover mandare mio figlio Connor quest’anno in uno dei migliori campus estivi americani. Il migliore amico di Connor era andato nel campus l’estate scorsa e ne parlava con entusiasmo. Quindi, dopo tante ricerche e discussioni, abbiamo deciso di consentire a Connor di trascorrere l’estate lontano da casa…. En lire plus »
Camps d’été internationaux : 5 manières d’élargir leur horizon
Le camp d’été en lui-même est déjà une activité très divertissante. Imaginez alors pouvoir travailler avec des campeurs et des moniteurs provenant du monde entier, quel bonheur !… Bien sûr, le camp international n’est pas juste un mélange d’activités existant déjà, le tout avec des accents exotiques en plus. Les campeurs de camps internationaux ont l’occasion… En lire plus »
5 Ways international camps expand camper horizons
Summer camp is already super fun. So as you can probably imagine, adding international campers and counselors to the mix turns up the fun-dial even higher! …But international camp isn’t just the same camp activities and friendships with a few exotic accents thrown into the mix. The secret sauce that makes international camp so special… En lire plus »
<<<
VASP calculation (PBE) on Li6MgZn5 after structural relaxation.

The calculation puts the relative energy among the computed polymorphs at 0 meV per atom. Its magnetic moment is 0.000 Bohr magnetons per cell. As for the total energy: -1.75 eV/atom. As for the formation energy: -0.129 eV per atom.

a = 3.789 Å, b = 7.539 Å, c = 7.539 Å
α = 104.61°, β = 103.88°, γ = 103.88°
Fractional coordinates of all 12 atoms:
Zn  0.000  0.667  0.333
Mg  0.000  0.000  0.000
Li  0.745  0.576  0.915
Zn  0.000  0.333  0.667
Zn  0.500  0.825  0.175
Li  0.765  0.265  0.265
Li  0.745  0.915  0.576
Li  0.255  0.424  0.085
Zn  0.500  0.500  0.500
Zn  0.500  0.175  0.825
Li  0.235  0.735  0.735
Li  0.255  0.085  0.424

---

VASP calculation (PBE) on La6Nd5Er after structural relaxation.

The calculation puts the relative energy among the computed polymorphs at 5 meV per atom. Its magnetic moment is 0.000 Bohr magnetons per cell. As for the total energy: -4.81 eV/atom. As for the formation energy: 0.016 eV per atom.

a = 6.380 Å, b = 7.418 Å, c = 9.790 Å
α = 67.73°, β = 89.38°, γ = 89.92°
Fractional coordinates of all 12 atoms:
La  0.835  0.083  0.332
Er  0.000  0.000  0.000
Nd  0.668  0.166  0.668
La  0.165  0.415  0.668
Nd  0.665  0.667  0.667
La  0.500  0.753  0.000
La  0.835  0.585  0.332
La  0.165  0.917  0.668
Nd  0.332  0.834  0.332
Nd  0.000  0.500  0.000
La  0.500  0.247  0.000
Nd  0.335  0.333  0.333

---

VASP calculation (PBE) on KTc2Cl after structural relaxation.

The calculation puts the relative energy among the computed polymorphs at 886 meV per atom. Its magnetic moment is 0.000 Bohr magnetons per cell. For the formation energy (no corrections), the calculation gives 937 meV/atom. As for the total energy: -4.98 eV/atom.

a = 2.793 Å, b = 6.698 Å, c = 5.423 Å
α = 90.00°, β = 90.00°, γ = 90.00°
Fractional coordinates of all 4 atoms:
Tc  0.000  0.000  0.945
K  0.500  0.500  0.750
Cl  0.500  0.500  0.250
Tc  0.000  0.000  0.555

---

VASP calculation (PBE) on BaAgN after structural relaxation.

Its magnetic moment is 0.000 Bohr magnetons per cell. For the formation energy (no corrections), the calculation gives 225 meV/atom. As for the total energy: -4.14 eV/atom.

a = 6.589 Å, b = 7.832 Å, c = 5.742 Å
α = 90.00°, β = 90.00°, γ = 90.00°
Fractional coordinates of all 12 atoms:
Ag  0.000  0.750  0.517
N  0.750  0.750  0.750
N  0.250  0.250  0.250
Ba  0.000  0.500  0.000
N  0.750  0.250  0.250
Ag  0.500  0.750  0.983
Ag  0.500  0.250  0.017
Ag  0.000  0.250  0.483
Ba  0.500  0.500  0.500
Ba  0.500  0.000  0.500
Ba  0.000  0.000  0.000
N  0.250  0.750  0.750

---

VASP calculation (PBE) on Rb2LiSmCl6 after structural relaxation.

Its magnetic moment is 0.000 Bohr magnetons per cell. For the formation energy (no corrections), the calculation gives -2083 meV/atom. As for the total energy: -4.05 eV/atom.

a = 7.480 Å, b = 7.480 Å, c = 7.480 Å
α = 59.99°, β = 59.99°, γ = 59.99°
Fractional coordinates of all 10 atoms:
Cl  0.255  0.745  0.255
Cl  0.745  0.745  0.255
>>>
### The article goes on
More Than Just A Lake
There are many things notice when they arrive at camp the first day. They notice the cabins, all of the new faces, the baseball fields, ropes course, tennis courts and acres and acres of open space to run in, play in and explore in. But one of the most breathtaking and exciting parts of camp… En lire plus »